Man getting chiropractic adjustment

Visiting our Gainesville chiropractic center can yield numerous advantages for physical health and overall well-being. However, seeing a chiropractor often only occurs when there is significant pain or discomfort. But pain is just one of the many signs indicating that you need to see a chiropractor!

Our chiropractor in Gainesville, FL, at Tucker Chiropractic, can treat various conditions and provide wellness-enhancing therapies as an effective source of preventative care, so you can rest easy knowing your health is prioritized. But how do you know if you should see a chiropractor? Here, our chiropractic specialists discuss some of the top signs you need to see a chiropractor. Contact us today to schedule an appointment!

You Work A Desk Job

If you spend your working hours sitting, standing, or remaining in the same position over long periods, such as having a desk job, you may suffer from bad posture. Hours spent hunching over a keyboard or staying in a singular position can pose alignment problems over time, oftentimes result in pain in the neck, upper shoulders, lower back, and upper back.

This pain typically results from excess pressure, which can lead to even more severe issues like a herniated or slipped disc. Demanding schedules and a sedentary routine often bring with them migraines and high stress, but that’s where your chiropractor comes in! Our chiropractor can give you relief from pain and migraines and reduce the symptoms of stress on your body.

You Suffer From Chronic Pain

Chronic pain is one of the most common reasons people come in for chiropractic care. Several factors may cause or contribute to chronic shoulder pain, neck pain, joint pain, or back pain, including the amount of time spent on your feet or at a desk regularly, the type of work you perform, your posture, and your daily lifestyle choices and habits.

(Inserted here: crystal structures)
........
Density functional theory data (PBE) for LiSn2Pd after structural relaxation.

```
LiSn2Pd
1.0
-1.6735 -2.3483 1.7349
-0.5189 -1.7286 -2.8403
6.1138 -3.5748 1.0586
Sn Li Pd
2 1 1
Direct
0.0000 0.0000 0.7721
0.0000 0.0000 0.2279
0.5000 0.5000 0.5000
0.5000 0.5000 0.0000
```

Calculated values
* VASP energy: -16.7 eV for the cell shown
* E_form: -394 meV/atom
* calculated volume: 20.27 Å³/atom

***

Density functional theory data (PBE) for LiSn2Pd after structural relaxation.

```
LiSn2Pd
1.0
4.4705 0.0000 0.0000
2.2353 3.8716 0.0000
2.2353 1.2905 5.0096
Sn Li Pd
2 1 1
Direct
0.0660 0.0660 0.8021
0.2701 0.2701 0.1896
0.4901 0.4901 0.5296
0.6738 0.6738 0.9786
```

Calculated values
* VASP energy: -16.8 eV for the cell shown
* E_form: -420 meV/atom
* calculated volume: 21.68 Å³/atom

***

Density functional theory data (PBE) for Li7Sn4Pd after structural relaxation.

```
Li7Sn4Pd
1.0
-1.6126 3.3477 2.9532
-7.4745 -2.3596 2.4076
1.2414 -1.9576 6.7113
Li Sn Pd
7 4 1
Direct
0.2116 0.1320 0.4447
0.9315 0.3287 0.8083
0.0685 0.6713 0.1917
0.3563 0.5897 0.6977
0.6437 0.4103 0.3023
0.5000 0.0000 0.0000
0.7884 0.8680 0.5553
0.4353 0.7964 0.3330
0.6997 0.6565 0.9441
0.3003 0.3435 0.0559
0.5647 0.2036 0.6670
0.0000 0.0000 0.0000
```

Calculated values
* VASP energy: -37.0 eV for the cell shown
* E_form: -203 meV/atom
* calculated volume: 20.64 Å³/atom

***

Density functional theory data (PBE) for Li3SnPd after structural relaxation.

```
Li3SnPd
1.0
-2.1923 -2.9313 2.8710
1.2306 -3.5751 -2.7104
3.9142 -0.5178 2.4602
Sn Li Pd
1 3 1
Direct
0.5000 0.5000 0.5000
0.5000 0.0000 0.0000
0.0000 0.5000 0.0000
0.0000 0.0000 0.5000
0.0000 0.0000 0.0000
```

Calculated values
* VASP energy: -15.2 eV for the cell shown
* E_form: -53 meV/atom
* calculated volume: 20.14 Å³/atom
* energy above the most stable polymorph in this dataset: 380.4 meV/atom

***

Density functional theory data (PBE) for Li3Sn2Pd3 after structural relaxation.

```
Li3Sn2Pd3
1.0
-0.9106 1.5563 -4.2801
-2.8888 -3.8770 -0.7951
-2.6822 4.1717 4.6074
Pd Sn Li
3 2 3
Direct
0.8718 0.3700 0.7437
0.1282 0.6300 0.2563
0.0000 0.0000 0.0000
0.2417 0.2435 0.4835
0.7583 0.7565 0.5165
0.5000 0.5000 0.0000
0.6160 0.1125 0.2321
0.3840 0.8875 0.7679
```

Calculated values
* VASP energy: -33.0 eV for the cell shown
* E_form: -459 meV/atom
* calculated volume: 16.67 Å³/atom
* energy above the most stable polymorph in this dataset: 163.8 meV/atom

***

Density functional theory data (PBE) for Li2Sn3Pd2 after structural relaxation.

```
Li2Sn3Pd2
1.0
4.3826 0.0000 0.0000
-2.1913 5.0263 -0.2046
0.0000 -2.5688 6.8006
Li Sn Pd
2 3 2
Direct
0.8335 0.6670 0.1745
0.1665 0.3330 0.8255
0.3691 0.7381 0.5393
0.5000 0.0000 0.0000
0.6309 0.2619 0.4607
0.1214 0.2427 0.2070
0.8786 0.7573 0.7930
```

Calculated values
* VASP energy: -29.2 eV for the cell shown
* E_form: -430 meV/atom
* calculated volume: 21.07 Å³/atom
* energy above the most stable polymorph in this dataset: 0.0 meV/atom

***
........
(The crystal structures stop here)

Tucker Chiropractic offers spinal decompression, a specialized chiropractic therapy designed to reduce or eliminate chronic pain symptoms without invasive surgeries or prescribed pain medications. Also called spinal cord decompression, spinal decompression can often relieve those suffering from sciatica, spinal stenosis, herniated discs, bulging discs, injured spinal nerves, pinched nerves, and other pains.

You Live An Active Lifestyle

If you suffer from a limited motion range or experience pain, visiting your chiropractor may seem obvious. Yet, we recommend chiropractic therapy for all individuals who lead active lifestyles and those struggling with pain symptoms. An active lifestyle is key to achieving optimal health and wellness, but it can also put significant stress on the body and may result in misalignments.

Data records, kept here for reference >
[1]
A relaxed structure of Ce2Dy3Bi3, computed with PBE-GGA.

Results
The formation energy is -658.4 meV per atom. As for the symmetry: P6_3/mcm, No. 193.

Lattice parameters (Å, degrees): 9.3734 9.3734 6.3124 90.00 90.00 120.00
Closest atoms and distances in Å follow each position.
Fractional positions:
Ce (0.3333, 0.6667, 0.0000)  2 Ce 3.16, 6 Bi 3.33
Ce (0.3333, 0.6667, 0.5000)  2 Ce 3.16, 6 Bi 3.33
Ce (0.6667, 0.3333, 0.0000)  2 Ce 3.16, 6 Bi 3.33
Ce (0.6667, 0.3333, 0.5000)  2 Ce 3.16, 6 Bi 3.33
Dy (0.0000, 0.2482, 0.2500)  5 Bi 3.14-3.48
Dy (0.0000, 0.7518, 0.7500)  5 Bi 3.14-3.48
Dy (0.2482, 0.0000, 0.2500)  5 Bi 3.14-3.48
Dy (0.2482, 0.2482, 0.7500)  5 Bi 3.14-3.48
Dy (0.7518, 0.0000, 0.7500)  5 Bi 3.14-3.48
Dy (0.7518, 0.7518, 0.2500)  5 Bi 3.14-3.48
Bi (0.0000, 0.3810, 0.7500)  5 Dy 3.14-3.48, 4 Ce 3.33
Bi (0.0000, 0.6190, 0.2500)  5 Dy 3.14-3.48, 4 Ce 3.33
Bi (0.3810, 0.0000, 0.7500)  5 Dy 3.14-3.48, 4 Ce 3.33
Bi (0.3810, 0.3810, 0.2500)  5 Dy 3.14-3.48, 4 Ce 3.33
Bi (0.6190, 0.0000, 0.2500)  5 Dy 3.14-3.48, 4 Ce 3.33
Bi (0.6190, 0.6190, 0.7500)  5 Dy 3.14-3.48, 4 Ce 3.33

***

[2]
A relaxed structure of Ce4DyBi3, computed with PBE-GGA.

Results
The formation energy is -443.6 meV per atom. As for the symmetry: I4/mmm, No. 139.

Lattice parameters (Å, degrees): 8.3872 8.3872 8.3872 139.57 139.57 58.51
Closest atoms and distances in Å follow each position.
Fractional positions:
Ce (0.1313, 0.6313, 0.5000)  6 Bi 3.27-3.50, 1 Ce 3.47, 2 Dy 3.48
Ce (0.3687, 0.8687, 0.5000)  6 Bi 3.27-3.50, 1 Ce 3.47, 2 Dy 3.48
Ce (0.6313, 0.1313, 0.5000)  6 Bi 3.27-3.50, 1 Ce 3.47, 2 Dy 3.48
Ce (0.8687, 0.3687, 0.5000)  6 Bi 3.27-3.50, 1 Ce 3.47, 2 Dy 3.48
Dy (0.0000, 0.0000, 0.0000)  2 Bi 3.43, 8 Ce 3.48
Bi (0.2347, 0.2347, 0.0000)  8 Ce 3.27-3.50, 1 Dy 3.43
Bi (0.5000, 0.5000, 0.0000)  8 Ce 3.48, 2 Bi 3.88
Bi (0.7653, 0.7653, 0.0000)  8 Ce 3.27-3.50, 1 Dy 3.43

***

[3]
A relaxed structure of CeDy4Bi2, computed with PBE-GGA.

Results
The formation energy is -356.4 meV per atom. As for the symmetry: P2_1/m, No. 11.

Lattice parameters (Å, degrees): 8.0421 6.5765 8.9175 90.00 114.42 90.00
Closest atoms and distances in Å follow each position.
Fractional positions:
Ce (0.1077, 0.2500, 0.3596)  1 Dy 3.09, 4 Bi 3.16-3.32
Ce (0.8923, 0.7500, 0.6404)  1 Dy 3.09, 4 Bi 3.16-3.32
Dy (0.1924, 0.7500, 0.0804)  4 Bi 3.22-3.38, 1 Dy 3.59
Dy (0.3359, 0.0046, 0.7868)  3 Dy 3.23-3.47, 3 Bi 3.29-3.34
Dy (0.3359, 0.4954, 0.7868)  3 Dy 3.23-3.47, 3 Bi 3.29-3.34
Dy (0.4721, 0.7500, 0.5149)  2 Bi 3.05-3.32, 1 Ce 3.09, 2 Dy 3.34
Dy (0.5279, 0.2500, 0.4851)  2 Bi 3.05-3.32, 1 Ce 3.09, 2 Dy 3.34
Dy (0.6641, 0.5046, 0.2132)  3 Dy 3.23-3.47, 3 Bi 3.29-3.34
Dy (0.6641, 0.9954, 0.2132)  3 Dy 3.23-3.47, 3 Bi 3.29-3.34
Dy (0.8076, 0.2500, 0.9196)  4 Bi 3.22-3.38, 1 Dy 3.59
Bi (0.0555, 0.7500, 0.3726)  4 Dy 3.05-3.29, 3 Ce 3.16-3.32
Bi (0.2694, 0.2500, 0.0826)  1 Ce 3.23, 8 Dy 3.32-3.38
Bi (0.7306, 0.7500, 0.9174)  1 Ce 3.23, 8 Dy 3.32-3.38
The text goes on >

If you live an active lifestyle or you’re an athlete, you likely subject your body to a greater amount of stress and strain than others. In pursuit of top health and wellness and optimal performance, their bodies can become prone to pinched nerves, slipped discs, and other spinal-alignment issues. To keep your body and health at their best, we recommend visiting your chiropractor regularly to help ensure your body is ready to take on all your adventures without suffering consequences later.

Your Shoes Wear Out Unevenly

Take a second to look at the soles of your shoes. Is one sole more worn than the other? If you notice that the soles of your shoes wear out differently, it’s likely a sign that your body is out of proper alignment. If mismatched wear on your soles is also combined with symptoms of pain, aching, and discomfort, you should visit a chiropractor for treatment.

These offer a reliable sign indicating the presence of subluxations and the need for chiropractic therapy to combat this issue and help your body become proactive in maintaining its health. Spinal manipulation can bring your spine into its proper alignment, ensuring the issue does not become more severe, any pain or discomfort is reduced, and not turn into a chronic condition. Contact Tucker Chiropractic today and learn how you can benefit from our treatments!